**Request:**
Give back the whole of the rows below character by character.
**Source:**
- - -
[1]
This record from Alexandria describes BaErLu2 after structural relaxation. The functional is PBE.

Computed properties:
- Magnetization: 0.0364 μB per atom
- SG: R-3m
- Calculated formation energy: 259 meV per atom
- Total energy: -14.49 eV for the cell shown

Structure (POSCAR):
```
BaErLu2
1.0
1.7700 1.0219 12.6540
-1.7700 1.0219 12.6540
0.0000 -2.0438 12.6540
Ba Er Lu
1 1 2
direct
0.0000 0.0000 0.0000
0.5000 0.5000 0.5000
0.0942 0.0942 0.0942
0.9058 0.9058 0.9058
```

=====

[2]
This record from Alexandria describes BaErMg after structural relaxation. The functional is PBE.

Computed properties:
- Magnetization: 0.0000 μB per atom
- SG: I4mm
- Calculated formation energy: 102 meV per atom
- Total energy: -7.77 eV for the cell shown

Structure (POSCAR):
```
BaErMg
1.0
-1.9982 1.9982 6.8801
1.9982 -1.9982 6.8801
1.9982 1.9982 -6.8801
Ba Er Mg
1 1 1
direct
0.0000 0.0000 0.0000
0.2916 0.2916 0.0000
0.6764 0.6764 0.0000
```

=====

[3]
This record from Alexandria describes BaErMg2 after structural relaxation. The functional is PBE.

Computed properties:
- Magnetization: 0.0300 μB per atom
- SG: P4/mmm
- Calculated formation energy: -14 meV per atom
- Total energy: -9.73 eV for the cell shown

Structure (POSCAR):
```
BaErMg2
1.0
3.9750 0.0000 0.0000
0.0000 3.9750 0.0000
0.0000 0.0000 8.3830
Ba Er Mg
1 1 2
direct
0.0000 0.0000 0.0000
0.0000 0.0000 0.5000
0.5000 0.5000 0.2973
0.5000 0.5000 0.7027
```

=====

[4]
This record from Alexandria describes BaEr4Mg5 after structural relaxation. The functional is PBE.

Computed properties:
- Magnetization: 0.0000 μB per atom
- SG: P4/mmm
- Calculated formation energy: -46 meV per atom
- Total energy: -28.61 eV for the cell shown

Structure (POSCAR):
```
BaEr4Mg5
1.0
3.8057 0.0000 0.0000
0.0000 3.8057 0.0000
0.0000 0.0000 20.0612
Ba Er Mg
1 4 5
direct
0.0000 0.0000 0.0000
0.0000 0.0000 0.2260
0.0000 0.0000 0.4080
0.0000 0.0000 0.5920
0.0000 0.0000 0.7740
0.5000 0.5000 0.1308
0.5000 0.5000 0.3161
0.5000 0.5000 0.5000
0.5000 0.5000 0.6839
0.5000 0.5000 0.8692
```

=====

Compound: Ba3CoAs2O8
Source: Alexandria via LeMat-Bulk
Functional: PBE with a Hubbard U
Structure: relaxed

Values from the calculation:
Total magnetic moment (Bohr magnetons per cell): 1.58
SG: P-3m1 (164)
Energy (eV/atom): -6.09
Mass density (Mg/m³): 5.5

Cell: 5.8760 5.8760 7.6178 Å, 90.00 90.00 120.00°
Last column: nearest neighbours and their distance in Å.
Fractional coordinates of all 14 atoms:
Ba  0.3333  0.6667  0.6484  1 O 2.54
Ba  0.6667  0.3333  0.3516  1 O 2.54
Ba  0.0000  0.0000  0.0000  6 O 2.98
Co  0.0000  0.0000  0.5000  6 O 2.18
As  0.3333  0.6667  0.2173  4 O 1.79-1.87
As  0.6667  0.3333  0.7827  4 O 1.79-1.87
O  0.3333  0.6667  0.9821  1 As 1.79
O  0.6667  0.3333  0.0179  1 As 1.79
O  0.1671  0.8329  0.3209  1 As 1.87
O  0.8329  0.1671  0.6791  1 As 1.87
O  0.1671  0.3342  0.3209  1 As 1.87
O  0.8329  0.6658  0.6791  1 As 1.87
O  0.6658  0.8329  0.3209  1 As 1.87
O  0.3342  0.1671  0.6791  1 As 1.87
- - -
**Completed:**
[1]
This record from Alexandria describes BaErLu2 after structural relaxation. The functional is PBE.

Computed properties:
- Magnetization: 0.0364 μB per atom
- SG: R-3m
- Calculated formation energy: 259 meV per atom
- Total energy: -14.49 eV for the cell shown

Structure (POSCAR):
```
BaErLu2
1.0
1.7700 1.0219 12.6540
-1.7700 1.0219 12.6540
0.0000 -2.0438 12.6540
Ba Er Lu
1 1 2
direct
0.0000 0.0000 0.0000
0.5000 0.5000 0.5000
0.0942 0.0942 0.0942
0.9058 0.9058 0.9058
```

=====

[2]
This record from Alexandria describes BaErMg after structural relaxation. The functional is PBE.

Computed properties:
- Magnetization: 0.0000 μB per atom
- SG: I4mm
- Calculated formation energy: 102 meV per atom
- Total energy: -7.77 eV for the cell shown

Structure (POSCAR):
```
BaErMg
1.0
-1.9982 1.9982 6.8801
1.9982 -1.9982 6.8801
1.9982 1.9982 -6.8801
Ba Er Mg
1 1 1
direct
0.0000 0.0000 0.0000
0.2916 0.2916 0.0000
0.6764 0.6764 0.0000
```

=====

[3]
This record from Alexandria describes BaErMg2 after structural relaxation. The functional is PBE.

Computed properties:
- Magnetization: 0.0300 μB per atom
- SG: P4/mmm
- Calculated formation energy: -14 meV per atom
- Total energy: -9.73 eV for the cell shown

Structure (POSCAR):
```
BaErMg2
1.0
3.9750 0.0000 0.0000
0.0000 3.9750 0.0000
0.0000 0.0000 8.3830
Ba Er Mg
1 1 2
direct
0.0000 0.0000 0.0000
0.0000 0.0000 0.5000
0.5000 0.5000 0.2973
0.5000 0.5000 0.7027
```

=====

[4]
This record from Alexandria describes BaEr4Mg5 after structural relaxation. The functional is PBE.

Computed properties:
- Magnetization: 0.0000 μB per atom
- SG: P4/mmm
- Calculated formation energy: -46 meV per atom
- Total energy: -28.61 eV for the cell shown

Structure (POSCAR):
```
BaEr4Mg5
1.0
3.8057 0.0000 0.0000
0.0000 3.8057 0.0000
0.0000 0.0000 20.0612
Ba Er Mg
1 4 5
direct
0.0000 0.0000 0.0000
0.0000 0.0000 0.2260
0.0000 0.0000 0.4080
0.0000 0.0000 0.5920
0.0000 0.0000 0.7740
0.5000 0.5000 0.1308
0.5000 0.5000 0.3161
0.5000 0.5000 0.5000
0.5000 0.5000 0.6839
0.5000 0.5000 0.8692
```

=====

Compound: Ba3CoAs2O8
Source: Alexandria via LeMat-Bulk
Functional: PBE with a Hubbard U
Structure: relaxed

Values from the calculation:
Total magnetic moment (Bohr magnetons per cell): 1.58
SG: P-3m1 (164)
Energy (eV/atom): -6.09
Mass density (Mg/m³): 5.5

Cell: 5.8760 5.8760 7.6178 Å, 90.00 90.00 120.00°
Last column: nearest neighbours and their distance in Å.
Fractional coordinates of all 14 atoms:
Ba  0.3333  0.6667  0.6484  1 O 2.54
Ba  0.6667  0.3333  0.3516  1 O 2.54
Ba  0.0000  0.0000  0.0000  6 O 2.98
Co  0.0000  0.0000  0.5000  6 O 2.18
As  0.3333  0.6667  0.2173  4 O 1.79-1.87
As  0.6667  0.3333  0.7827  4 O 1.79-1.87
O  0.3333  0.6667  0.9821  1 As 1.79
O  0.6667  0.3333  0.0179  1 As 1.79
O  0.1671  0.8329  0.3209  1 As 1.87
O  0.8329  0.1671  0.6791  1 As 1.87
O  0.1671  0.3342  0.3209  1 As 1.87
O  0.8329  0.6658  0.6791  1 As 1.87
O  0.6658  0.8329  0.3209  1 As 1.87
O  0.3342  0.1671  0.6791  1 As 1.87